To do:
The reader should say how many lines of the lines further below hold the word "DFT", as a bare number.

Given:
-- begin --
(1)
Computed, not measured: a relaxed CaMnAl4SiP3H5O20 crystal at the GGA+U level of DFT.

Values from the calculation:
The spin magnetization is 2.00 μB/f.u. The calculation puts the energy above the lowest structure with this stoichiometry at 755 meV/atom.

Cell lengths 20.259, 12.675, 7.037 Å; angles 90.00, 105.27, 90.00 degrees
Space group C2/m (No. 12)
One atom of each set of equivalent atoms:
Ca (0.000, 0.230, 0.000) [4 per cell]
Mn (0.240, 0.500, 0.829) [4 per cell]
Al (0.088, 0.395, 0.759) [8 per cell]
Al (0.190, 0.104, 0.524) [8 per cell]
Si (0.046, 0.500, 0.312) [4 per cell]
P (0.035, 0.000, 0.393) [4 per cell]
P (0.194, 0.242, 0.207) [8 per cell]
H (0.105, 0.500, 0.917) [4 per cell]
H (0.109, 0.500, 0.241) [4 per cell]
H (0.168, 0.396, 0.737) [8 per cell]
H (0.189, 0.500, 0.099) [4 per cell]
O (0.003, 0.391, 0.239) [8 per cell]
O (0.024, 0.104, 0.285) [8 per cell]
O (0.070, 0.500, 0.557) [4 per cell]
O (0.082, 0.000, 0.011) [4 per cell]
O (0.098, 0.259, 0.875) [8 per cell]
O (0.121, 0.000, 0.534) [4 per cell]
O (0.129, 0.000, 0.931) [4 per cell]
O (0.138, 0.316, 0.057) [8 per cell]
O (0.154, 0.204, 0.355) [8 per cell]
O (0.216, 0.152, 0.101) [8 per cell]
O (0.231, 0.000, 0.428) [4 per cell]
O (0.237, 0.500, 0.090) [4 per cell]
O (0.249, 0.321, 0.307) [8 per cell]

(2)
Computed, not measured: a relaxed CaMnAl4SiP3H5O20 crystal at the GGA+U level of DFT.

Values from the calculation:
The spin magnetization is 5.00 μB/f.u. The calculation puts the energy above the lowest structure with this stoichiometry at 0 meV/atom.

Cell lengths 17.342, 11.586, 7.397 Å; angles 90.00, 113.50, 90.00 degrees
Space group C2/m (No. 12)
One atom of each set of equivalent atoms:
Ca (0.000, 0.243, 0.000) [4 per cell]
Mn (0.214, 0.000, 0.947) [4 per cell]
Al (0.118, 0.371, 0.769) [8 per cell]
Al (0.131, 0.133, 0.497) [8 per cell]
Si (0.050, 0.500, 0.335) [4 per cell]
P (0.034, 0.000, 0.767) [4 per cell]
P (0.209, 0.246, 0.195) [8 per cell]
H (0.047, 0.293, 0.453) [8 per cell]
H (0.136, 0.500, 0.055) [4 per cell]
H (0.179, 0.000, 0.310) [4 per cell]
H (0.186, 0.500, 0.359) [4 per cell]
O (0.005, 0.383, 0.752) [8 per cell]
O (0.022, 0.109, 0.282) [8 per cell]
O (0.089, 0.259, 0.577) [8 per cell]
O (0.093, 0.000, 0.645) [4 per cell]
O (0.095, 0.500, 0.579) [4 per cell]
O (0.096, 0.000, 0.982) [4 per cell]
O (0.128, 0.500, 0.258) [4 per cell]
O (0.139, 0.270, 0.988) [8 per cell]
O (0.152, 0.500, 0.938) [4 per cell]
O (0.163, 0.225, 0.329) [8 per cell]
O (0.178, 0.000, 0.440) [4 per cell]
O (0.231, 0.147, 0.737) [8 per cell]
O (0.238, 0.362, 0.813) [8 per cell]

(3)
Computed, not measured: a relaxed Ca2MnAl2Si3HO13 crystal at the GGA+U level of DFT.

Values from the calculation:
The spin magnetization is 4.00 μB/f.u.

Cell lengths 8.946, 5.763, 10.248 Å; angles 90.00, 115.55, 90.00 degrees
Space group P2_1/m (No. 11)
One atom of each set of equivalent atoms:
Ca (0.097, 0.250, 0.427) [2 per cell]
Ca (0.254, 0.250, 0.153) [2 per cell]
Mn (0.204, 0.250, 0.779) [2 per cell]
Al (0.500, 0.000, 0.000) [2 per cell]
Al (0.500, 0.000, 0.500) [2 per cell]
Si (0.161, 0.750, 0.955) [2 per cell]
Si (0.185, 0.750, 0.274) [2 per cell]
Si (0.313, 0.750, 0.680) [2 per cell]
H (0.441, 0.250, 0.670) [2 per cell]
O (0.012, 0.250, 0.185) [2 per cell]
O (0.030, 0.750, 0.317) [2 per cell]
O (0.115, 0.750, 0.095) [2 per cell]
O (0.192, 0.522, 0.642) [4 per cell]
O (0.271, 0.510, 0.968) [4 per cell]
O (0.298, 0.517, 0.335) [4 per cell]
O (0.412, 0.250, 0.566) [2 per cell]
O (0.431, 0.750, 0.592) [2 per cell]
O (0.441, 0.250, 0.869) [2 per cell]
O (0.455, 0.750, 0.855) [2 per cell]

(4)
Computed, not measured: a relaxed Ca8Mn6Al2O23 crystal at the GGA+U level of DFT.

Values from the calculation:
The spin magnetization is 18.00 μB/f.u. The calculation puts the energy above the lowest structure with this stoichiometry at 0 meV/atom.

Cell lengths 10.679, 10.782, 15.094 Å; angles 89.93, 89.87, 89.66 degrees
Space group P1 (No. 1)
One atom of each set of equivalent atoms:
-- stop --

Result:
4